Vote Earth

Misplaced molecular data =
-- begin --
{
  "formula": "C50H43CuN6O3",
  "method": "ωB97M-V/def2-TZVPD",
  "e_homo_ev": -0.349,
  "orbital_gap_ev": 4.365,
  "max_force_ev_per_a": 0.5,
  "charge": -2,
  "e_tot_ha": -4125.74686,
  "elements": ["Cu", "C", "O", "C", "C", "C", "C", "C", "C", "N", "C", "N", "C", "C", "C", "C", "C", "C", "O", "C", "N", "C", "C", "C", "C", "C", "C", "O", "C", "H", "H", "H", "H", "H", "H", "H", "H", "H", "H", "H", "H", "H", "H", "H", "H", "H", "H", "H", "H", "H", "H", "C", "C", "C", "C", "C", "C", "C", "C", "C", "C", "C", "C", "C", "C", "H", "H", "H", "H", "H", "H", "H", "H", "H", "H", "H", "N", "C", "C", "C", "C", "C", "C", "C", "C", "C", "H", "H", "H", "H", "N", "C", "C", "C", "N", "C", "C", "H", "H", "H", "H", "H", "H"],
-- stop --

How Folk Essence strives for sustainable solutions


Our story today begins with an age old (well, at least in our age) problem; addressing the wasteful state of the modern fashion/home goods industries. Unfortunately, we are all too familiar with those tragic pre- beach clean up photos, or not to mention, when our beloved sea friends accidentally get caught up in the *insert single use plastic product* photos. It breaks our hearts, and we know that we could do better. And we must. For us. For our loved ones. For the planet. Present and future. 


So where does Folk Essence come into this?

Well, as a company involved in the making, purchasing, packaging, and shipping of products, we definitely have our weight to pull. 

Let me break it down by the categories of People, Product, and Planet and show You how we make every effort to leave as small of a footprint as possible on the environment. We give our word, that you can purchase your Folk Essence with dignity, every time.  



We purchase all of our Vintage clothing, and home goods from local vendors, and local markets in Hungary. This means, there is no extra shipping material, or emission waste accumulated in this process. Folk Essence also partners with local artists (mostly women), to create our beautiful products. Artists are paid fair and ethical wadges, therefore are able to keep these beautiful artforms alive. There is no conversation of sustainability without the inclusion of the people, the artists and merchants, who are as important of a consideration as any other branch on the sustainability tree. Remember, no artists, no art. 



The best kinds of clothing, and other home goods, are the ones that are made with the intention of a happy and long life. This is something we take to heart, and why we love our Vintage collection so much. All the artists we partner with align with our low impact goal, of sourcing from local and sustainable fabrics, using ecologically responsible methods, and minimizing waste in the production process.

We also encourage our customers to take a deep breath before hitting that Buy button, to be sure that they purchase an item that they absolutely love and will stay with them for years to come. We can, however, assure you that our designs are timeless, and unlike fast fashion trends, these beauties are here to stay. 



So long plastic, you are not welcome here! You may have a hunch that the fashion/homegoods industries are full of plastic and excess packaging. For example, the product made overseas is often packaged in a plastic polyester bag, or placed into a box filled with unnecessary plastic (we see you, bubble wrap) and covered with styrofoam peanuts JUST to reach the new owner. And we haven’t even gotten into the waste accumulated during the manufacturing! Yikes.

## Attached: data records
+++
Below is a molecular structure, C51H50BCl6N3O2PSeTi in a non-equilibrium geometry, with properties calculated with ωB97M-V/def2-TZVPD.

HOMO (alpha / beta) ... -1.841 / -2.065 eV
LUMO level (alpha / beta) ... 3.8 / 3.8 eV
2S+1 ... 2
Net charge ... -2

Structure (XYZ):
```
116
C51H50BCl6N3O2PSeTi ωB97M-V/def2-TZVPD
C 0.2528 -2.9581 2.4471
C 4.8748 -1.5685 2.6872
H 3.8848 -3.9887 1.7962
Cl 2.6819 -0.9081 -2.2808
N 0.9137 -1.2334 4.0180
H 2.9946 4.4674 2.9139
H 0.2923 -0.5900 -7.4201
O -2.3059 -1.0808 -2.6243
H -5.0432 -3.7317 -6.7166
Ti 1.4415 0.5883 -1.2447
C 0.8849 -1.1717 5.4084
C -1.9852 1.2267 5.1645
C -1.5650 3.6649 5.5184
H 5.3015 -2.2784 2.0007
H -2.4414 1.4930 7.3050
H 2.2622 -4.2226 -6.0320
H 0.9892 0.5798 6.7227
H -1.4920 -3.0184 -4.2962
C -2.9521 1.2542 6.3861
C 1.3556 -2.4302 -6.9015
C -4.9091 -2.7743 -6.3308
Cl 0.1071 4.7368 -5.2426
C 4.4214 -3.1176 4.6817
C 0.3512 -1.4804 -6.7266
C -3.4281 -1.0986 -5.4615
C 2.4030 2.9425 -1.7192
C 0.6034 -3.6656 1.2941
C 1.8934 -4.0157 1.0272
H 4.1447 3.1980 3.1977
C 0.4558 -3.6762 -5.0418
C -1.1198 -2.9370 3.0678
H -1.0487 -4.9110 3.8631
H -2.2086 -2.8429 1.1486
C 0.2874 2.3420 4.8674
N 0.8590 0.9898 4.6578
C -1.4848 2.6248 -8.1938
H 0.8605 -2.0559 6.0046
C -0.6240 -2.7781 -4.9542
H -2.6431 3.6390 5.8412
P -1.7989 -0.2549 -5.4275
C -2.8924 1.1829 3.8290
C 1.2895 -2.3396 3.1497
H 4.2856 -0.8331 2.0465
C 0.4732 2.7961 -3.3175
H -1.2894 3.7086 -8.1911
O -0.4731 2.2133 -3.8509
H -2.7394 -2.9253 -6.3365
C -1.0924 2.4080 5.1256
C -2.3240 0.7241 -9.4162
Cl -4.3963 0.9809 -4.0812
C 2.7757 4.2541 -2.1601
C -3.6004 -2.3425 -6.0917
C -5.8323 -0.7964 -5.4118
C 0.9658 0.1573 5.7201
H 3.6274 -3.5810 5.3335
H -1.1996 5.7943 5.9379
H 3.3822 -1.2299 4.2646
H -6.9994 -2.3812 -6.2121
H 4.8608 -3.9543 4.1277
H -3.4086 2.1553 3.6886
C -1.4784 1.9224 -6.9902
C 2.5842 -2.6967 2.9017
H -3.8219 1.9176 6.3124
H 2.0552 -4.6398 0.1123
Cl 4.1924 4.9858 -1.5786
C -2.1492 -3.4375 2.0443
H 5.1460 -2.6208 5.3109
H 2.1703 -2.3132 -7.6073
C -4.5844 -0.3720 -5.0944
H -1.4496 0.2268 5.1834
H -3.3562 0.2219 6.5196
H 3.6378 5.1783 5.2216
H -1.1450 2.3295 -6.0448
H -1.8963 2.5701 -10.2694
Se 0.9524 0.6413 1.5225
H 2.9271 2.2412 4.9902
Cl 2.2703 6.4144 -3.7278
H -2.5424 0.2601 -10.4008
C -1.3376 -0.6339 -2.0749
C 3.7487 -2.1189 3.7097
C 1.4570 -3.5248 -6.0186
H -0.1814 -3.9635 0.5943
C -6.0159 -1.9705 -6.0377
C 1.2649 2.2448 -2.2096
H 1.1497 5.5445 5.2371
C -2.3991 -0.0131 -8.2237
H 3.0887 4.2521 6.6653
H -3.1545 -3.5201 2.4364
H -3.6926 0.4567 4.0108
N -0.3198 -0.2682 -1.5372
H -1.9089 -4.4519 1.7272
H -0.4573 -3.5810 5.0401
H -2.9465 -0.9819 -8.1770
Cl 3.3315 2.1145 -0.4899
H 0.6371 -4.4262 -4.2507
C 2.6415 3.2734 4.7460
C 1.9856 4.8171 -3.1986
B 0.8393 0.1349 3.4188
C 0.8848 4.1478 -3.8076
C 0.5468 4.6714 5.2602
C 1.1193 3.4480 4.9221
C -1.9408 0.6037 -7.0435
H -2.2432 1.0416 2.9477
C 3.4673 4.1468 5.5959
C -0.7961 4.7949 5.5853
H -1.2818 -1.9184 3.4289
C -1.8195 2.0275 -9.3491
C -1.1517 -3.8784 4.2539
C 3.0699 3.4195 3.2758
+++


Here at Folk Essence we do things a little differently. Okay, a lot differently. We cut out ALL that plastic nonsense by using sustainable, biodegradable, plant based, and compostable materials. Sounds too good to be true? Well see for yourself…

✰ Our packaging tape is 100% plastic free, and biodegradable

✰ Our packaging tape is 100% plastic free, and biodegradable

✰Paper boxes > Plastic

✰Paper boxes > Plastic

✰And when we MUST use “plastic” for our smaller items, we use Noissue compostable polymailers

✰And when we MUST use “plastic” for our smaller items, we use Noissue compostable polymailers

✰ Is it just me or does the Noissue polymailer smell like coffee? Real question…

✰ Is it just me or does the Noissue polymailer smell like coffee? Real question…

✰Naturally our tissue paper is fully made from recycled materials

✰Naturally our tissue paper is fully made from recycled materials

✰Our bubble wrap is 100% biodegradable, and 100% just as fun to pop

✰Our bubble wrap is 100% biodegradable, and 100% just as fun to pop

✰And our list would not be fully complete without our biodegradable packing peanuts, I mean they are really the stars of the show

✰And our list would not be fully complete without our biodegradable packing peanuts, I mean they are really the stars of the show

So we hope you get the messege. We'll pass on unnecessary plastic waste any day.

We believe that only when the intersection of People, Products, and Planet are recognized, can any real Progress be made. 


We are not claiming to be perfect, but we are claiming, and making the promise, to always strive to do better. This is not business as usual. This is a vision for better values and actions, for a more conscious way of doing business. 

We care, so you can shop carefree.

Wishing love, light and inspiration to all ♥ 


Motifs in Hungarian Folklore


Keep It Clean